== Contents ==
(1)
The following is a computed PXRD pattern of Na3MnSiCO7. It was derived from a cell relaxed with PBE+U, using CuKα.

Principal peaks in the range 2θ = 10–90°, by angle:
two_theta, I/Imax, hkl
16.7, 16, 0 1 1
19.2, 15, 1 0 -1
25.5, 14, 1 0 -2
27.4, 41, 0 2 0
29.4, 15, 1 1 2
33.7, 34, 1 0 -3
33.8, 100, 2 0 0
41.4, 17, 2 1 -2
48.7, 19, 0 2 4
56.6, 17, 0 4 0

Atomic structure:
Cell: 5.307 6.504 9.134 Å, 90.00 91.07 90.00°
Space group P2_1/m (No. 11)
Asymmetric unit:
Na (0.216, 0.250, 0.092) (multiplicity 2)
Na (0.261, 0.507, 0.734) (multiplicity 4)
Mn (0.218, 0.750, 0.353) (multiplicity 2)
Si (0.307, 0.250, 0.427) (multiplicity 2)
C (0.285, 0.750, 0.054) (multiplicity 2)
O (0.087, 0.750, 0.140) (multiplicity 2)
O (0.157, 0.250, 0.580) (multiplicity 2)
O (0.244, 0.750, 0.914) (multiplicity 2)
O (0.245, 0.050, 0.320) (multiplicity 4)
O (0.382, 0.750, 0.541) (multiplicity 2)
O (0.492, 0.250, 0.889) (multiplicity 2)

=====

(2)
The following is a computed PXRD pattern of Li3Mn4B4O12. It was derived from a cell relaxed with PBE+U, using CuKα.

Principal peaks in the range 2θ = 10–90°, by angle:
two_theta, I/Imax, hkl
19.4, 27, 1 1 -1
19.5, 51, 0 2 0
21.3, 100, 1 1 -2
25.8, 56, 1 1 1
26.1, 33, 1 1 -3
34.1, 53, 1 3 -1
34.6, 78, 0 0 4
40.3, 40, 2 2 -1
48.4, 25, 1 1 -6
53.6, 21, 3 1 -2

Atomic structure:
Cell: 5.288 9.092 11.571 Å, 90.00 116.35 90.00°
Space group Pc (No. 7)
Asymmetric unit:
Li (0.000, 0.231, 0.000) (multiplicity 2)
Li (0.053, 0.259, 0.752) (multiplicity 2)
Li (0.501, 0.264, 0.523) (multiplicity 2)
Mn (0.045, 0.399, 0.227) (multiplicity 2)
Mn (0.469, 0.420, 0.977) (multiplicity 2)
Mn (0.509, 0.063, 0.721) (multiplicity 2)
Mn (0.946, 0.112, 0.463) (multiplicity 2)
B (0.021, 0.061, 0.208) (multiplicity 2)
B (0.434, 0.075, 0.964) (multiplicity 2)
B (0.535, 0.414, 0.722) (multiplicity 2)
B (0.951, 0.428, 0.473) (multiplicity 2)
O (0.098, 0.075, 0.674) (multiplicity 2)
O (0.116, 0.188, 0.182) (multiplicity 2)
O (0.170, 0.406, 0.437) (multiplicity 2)
O (0.296, 0.204, 0.949) (multiplicity 2)
O (0.328, 0.425, 0.766) (multiplicity 2)
O (0.385, 0.049, 0.526) (multiplicity 2)
O (0.626, 0.464, 0.179) (multiplicity 2)
O (0.631, 0.055, 0.914) (multiplicity 2)
O (0.646, 0.277, 0.716) (multiplicity 2)
O (0.795, 0.310, 0.478) (multiplicity 2)
O (0.850, 0.056, 0.271) (multiplicity 2)
O (0.895, 0.432, 0.004) (multiplicity 2)

=====

(3)
The following is a computed PXRD pattern of FeO2. It was derived from a cell relaxed with PBE+U, using CuKα.

Principal peaks in the range 2θ = 10–90°, by angle:
two_theta, I/Imax, hkl
18.2, 100, 0 1 1
18.4, 87, 1 0 1
35.2, 23, 1 2 1
35.5, 23, 2 1 1
35.8, 11, 1 0 3
36.9, 10, 0 2 2
42.9, 63, 2 2 0
43.6, 29, 0 0 4
56.6, 11, 2 3 1
62.8, 32, 2 2 4

Atomic structure:
Cell: 5.908 6.009 8.311 Å, 90.00 90.00 90.00°
Space group Imma (No. 74)
Asymmetric unit:
Fe (0.000, 0.000, 0.000) (multiplicity 4)
Fe (0.250, 0.250, 0.250) (multiplicity 4)
O (0.000, 0.030, 0.239) (multiplicity 8)
O (0.226, 0.250, 0.023) (multiplicity 8)

=====

(4)
The following is a computed PXRD pattern of KPrVWO6. It was derived from a cell relaxed with PBE+U, using CuKα.

Principal peaks in the range 2θ = 10–90°, by angle:
two_theta, I/Imax, hkl
19.1, 43, 1 1 1
31.5, 100, 2 2 0
37.1, 24, 3 1 1
45.2, 32, 4 0 0
49.5, 11, 3 3 1
56.1, 39, 4 2 2
59.8, 9, 5 1 1
65.8, 19, 4 4 0
69.2, 9, 5 3 1
74.7, 17, 6 2 0

Atomic structure:
Cell: 8.032 8.032 8.032 Å, 90.00 90.00 90.00°
Space group F-43m (No. 216)
Asymmetric unit:
K (0.000, 0.000, 0.000) (multiplicity 4)
Pr (0.000, 0.000, 0.500) (multiplicity 4)
V (0.250, 0.250, 0.250) (multiplicity 4)
W (0.250, 0.250, 0.750) (multiplicity 4)
O (0.008, 0.250, 0.750) (multiplicity 24)

~~~~~

Diffraction record for In2SnPb. The powder diffraction line list is simulated, not measured: it uses a GGA-PBE-relaxed structure and Cu Kα (λ = 1.5418 Å).
Lines closer than 0.1° are merged.

Principal peaks in the range 15 to 90 degrees two-theta, by angle:
h k l	2θ (°)	intensity
1 1 1	20.0	5
2 0 0	23.1	3
2 2 0	32.9	100

== Assignment ==
The reader should print all of the contents further above exactly.

== Written answer ==
(1)
The following is a computed PXRD pattern of Na3MnSiCO7. It was derived from a cell relaxed with PBE+U, using CuKα.

Principal peaks in the range 2θ = 10–90°, by angle:
two_theta, I/Imax, hkl
16.7, 16, 0 1 1
19.2, 15, 1 0 -1
25.5, 14, 1 0 -2
27.4, 41, 0 2 0
29.4, 15, 1 1 2
33.7, 34, 1 0 -3
33.8, 100, 2 0 0
41.4, 17, 2 1 -2
48.7, 19, 0 2 4
56.6, 17, 0 4 0

Atomic structure:
Cell: 5.307 6.504 9.134 Å, 90.00 91.07 90.00°
Space group P2_1/m (No. 11)
Asymmetric unit:
Na (0.216, 0.250, 0.092) (multiplicity 2)
Na (0.261, 0.507, 0.734) (multiplicity 4)
Mn (0.218, 0.750, 0.353) (multiplicity 2)
Si (0.307, 0.250, 0.427) (multiplicity 2)
C (0.285, 0.750, 0.054) (multiplicity 2)
O (0.087, 0.750, 0.140) (multiplicity 2)
O (0.157, 0.250, 0.580) (multiplicity 2)
O (0.244, 0.750, 0.914) (multiplicity 2)
O (0.245, 0.050, 0.320) (multiplicity 4)
O (0.382, 0.750, 0.541) (multiplicity 2)
O (0.492, 0.250, 0.889) (multiplicity 2)

=====

(2)
The following is a computed PXRD pattern of Li3Mn4B4O12. It was derived from a cell relaxed with PBE+U, using CuKα.

Principal peaks in the range 2θ = 10–90°, by angle:
two_theta, I/Imax, hkl
19.4, 27, 1 1 -1
19.5, 51, 0 2 0
21.3, 100, 1 1 -2
25.8, 56, 1 1 1
26.1, 33, 1 1 -3
34.1, 53, 1 3 -1
34.6, 78, 0 0 4
40.3, 40, 2 2 -1
48.4, 25, 1 1 -6
53.6, 21, 3 1 -2

Atomic structure:
Cell: 5.288 9.092 11.571 Å, 90.00 116.35 90.00°
Space group Pc (No. 7)
Asymmetric unit:
Li (0.000, 0.231, 0.000) (multiplicity 2)
Li (0.053, 0.259, 0.752) (multiplicity 2)
Li (0.501, 0.264, 0.523) (multiplicity 2)
Mn (0.045, 0.399, 0.227) (multiplicity 2)
Mn (0.469, 0.420, 0.977) (multiplicity 2)
Mn (0.509, 0.063, 0.721) (multiplicity 2)
Mn (0.946, 0.112, 0.463) (multiplicity 2)
B (0.021, 0.061, 0.208) (multiplicity 2)
B (0.434, 0.075, 0.964) (multiplicity 2)
B (0.535, 0.414, 0.722) (multiplicity 2)
B (0.951, 0.428, 0.473) (multiplicity 2)
O (0.098, 0.075, 0.674) (multiplicity 2)
O (0.116, 0.188, 0.182) (multiplicity 2)
O (0.170, 0.406, 0.437) (multiplicity 2)
O (0.296, 0.204, 0.949) (multiplicity 2)
O (0.328, 0.425, 0.766) (multiplicity 2)
O (0.385, 0.049, 0.526) (multiplicity 2)
O (0.626, 0.464, 0.179) (multiplicity 2)
O (0.631, 0.055, 0.914) (multiplicity 2)
O (0.646, 0.277, 0.716) (multiplicity 2)
O (0.795, 0.310, 0.478) (multiplicity 2)
O (0.850, 0.056, 0.271) (multiplicity 2)
O (0.895, 0.432, 0.004) (multiplicity 2)

=====

(3)
The following is a computed PXRD pattern of FeO2. It was derived from a cell relaxed with PBE+U, using CuKα.

Principal peaks in the range 2θ = 10–90°, by angle:
two_theta, I/Imax, hkl
18.2, 100, 0 1 1
18.4, 87, 1 0 1
35.2, 23, 1 2 1
35.5, 23, 2 1 1
35.8, 11, 1 0 3
36.9, 10, 0 2 2
42.9, 63, 2 2 0
43.6, 29, 0 0 4
56.6, 11, 2 3 1
62.8, 32, 2 2 4

Atomic structure:
Cell: 5.908 6.009 8.311 Å, 90.00 90.00 90.00°
Space group Imma (No. 74)
Asymmetric unit:
Fe (0.000, 0.000, 0.000) (multiplicity 4)
Fe (0.250, 0.250, 0.250) (multiplicity 4)
O (0.000, 0.030, 0.239) (multiplicity 8)
O (0.226, 0.250, 0.023) (multiplicity 8)

=====

(4)
The following is a computed PXRD pattern of KPrVWO6. It was derived from a cell relaxed with PBE+U, using CuKα.

Principal peaks in the range 2θ = 10–90°, by angle:
two_theta, I/Imax, hkl
19.1, 43, 1 1 1
31.5, 100, 2 2 0
37.1, 24, 3 1 1
45.2, 32, 4 0 0
49.5, 11, 3 3 1
56.1, 39, 4 2 2
59.8, 9, 5 1 1
65.8, 19, 4 4 0
69.2, 9, 5 3 1
74.7, 17, 6 2 0

Atomic structure:
Cell: 8.032 8.032 8.032 Å, 90.00 90.00 90.00°
Space group F-43m (No. 216)
Asymmetric unit:
K (0.000, 0.000, 0.000) (multiplicity 4)
Pr (0.000, 0.000, 0.500) (multiplicity 4)
V (0.250, 0.250, 0.250) (multiplicity 4)
W (0.250, 0.250, 0.750) (multiplicity 4)
O (0.008, 0.250, 0.750) (multiplicity 24)

~~~~~

Diffraction record for In2SnPb. The powder diffraction line list is simulated, not measured: it uses a GGA-PBE-relaxed structure and Cu Kα (λ = 1.5418 Å).
Lines closer than 0.1° are merged.

Principal peaks in the range 15 to 90 degrees two-theta, by angle:
h k l	2θ (°)	intensity
1 1 1	20.0	5
2 0 0	23.1	3
2 2 0	32.9	100